El Raval
Unrelated to this piece: records of crystals:
********
1.
LaV2Br: relaxed, PBE.

Values from the calculation:
- total magnetic moment (μB/atom) = 0.00
- E (eV per cell) = -39.40
- distance to the lowest polymorph of the same formula (meV/atom) = 444.6
- raw formation energy (eV/atom) = 1.285
- space group = I-42d
- DOS at the Fermi energy (states/eV per cell) = 7.71

Unit cell a=6.8076 b=6.8076 c=6.8076 alpha=129.92 beta=129.92 gamma=73.54
Closest atoms and distances in Å follow each position.
Atoms (fractional coordinates):
1 La 0.0000 0.0000 0.0000  4 V 2.43
2 La 0.7500 0.2500 0.5000  4 V 2.43
3 V 0.1190 0.6250 0.9940  2 La 2.43, 2 Br 2.47
4 V 0.3750 0.3690 0.4940  2 La 2.43, 2 Br 2.47
5 V 0.6310 0.1250 0.0060  2 La 2.43, 2 Br 2.47
6 V 0.8750 0.8810 0.5060  2 La 2.43, 2 Br 2.47
7 Br 0.2500 0.7500 0.5000  4 V 2.47
8 Br 0.5000 0.5000 0.0000  4 V 2.47

2.
LaVBr2: relaxed, PBE.

Values from the calculation:
- total magnetic moment (μB/atom) = 1.36
- E (eV per cell) = -18.77
- distance to the lowest polymorph of the same formula (meV/atom) = 159.2
- raw formation energy (eV/atom) = -0.346
- space group = Fm-3m
- DOS at the Fermi energy (states/eV per cell) = 5.69

Unit cell a=5.2475 b=5.2475 c=5.2475 alpha=60.00 beta=60.00 gamma=60.00
Closest atoms and distances in Å follow each position.
Atoms (fractional coordinates):
1 La 0.0000 0.0000 0.0000  8 Br 3.21
2 V 0.5000 0.5000 0.5000  8 Br 3.21
3 Br 0.2500 0.2500 0.2500  4 V 3.21, 4 La 3.21
4 Br 0.7500 0.7500 0.7500  4 La 3.21, 4 V 3.21

3.
La3VBr: relaxed, PBE.

Values from the calculation:
- total magnetic moment (μB/atom) = 0.00
- E (eV per cell) = -25.40
- distance to the lowest polymorph of the same formula (meV/atom) = 0.0
- raw formation energy (eV/atom) = 0.035
- space group = Pm-3m
- DOS at the Fermi energy (states/eV per cell) = 5.24

Unit cell a=5.4741 b=5.4741 c=5.4741 alpha=90.00 beta=90.00 gamma=90.00
Closest atoms and distances in Å follow each position.
Atoms (fractional coordinates):
1 La 0.0000 0.0000 0.5000  2 V 2.74
2 La 0.0000 0.5000 0.0000  2 V 2.74
3 La 0.5000 0.0000 0.0000  2 V 2.74
4 V 0.0000 0.0000 0.0000  6 La 2.74
5 Br 0.5000 0.5000 0.5000  12 La 3.87

4.
LaV2Br: relaxed, PBE.

Values from the calculation:
- total magnetic moment (μB/atom) = 0.00
- E (eV per cell) = -21.48
- distance to the lowest polymorph of the same formula (meV/atom) = 0.0
- raw formation energy (eV/atom) = 0.840
- space group = Fm-3m
- DOS at the Fermi energy (states/eV per cell) = 4.93

Unit cell a=4.7035 b=4.7035 c=4.7035 alpha=60.00 beta=60.00 gamma=60.00
Closest atoms and distances in Å follow each position.
Atoms (fractional coordinates):
1 La 0.0000 0.0000 0.0000  8 V 2.88
2 V 0.2500 0.2500 0.2500  4 Br 2.88, 4 La 2.88
3 V 0.7500 0.7500 0.7500  4 Br 2.88, 4 La 2.88
4 Br 0.5000 0.5000 0.5000  8 V 2.88

5.
LaWBr2: relaxed, PBE.

Values from the calculation:
- total magnetic moment (μB/atom) = 0.98
- E (eV per cell) = -19.83
- distance to the lowest polymorph of the same formula (meV/atom) = 506.6
- raw formation energy (eV/atom) = 0.349
********
For my Spanish Film class we watched a documentary on the neighborhood of El Raval called “En Construcción” directed by Jose Luis Guerin. The film followed groups of neighbors and construction workers around the barrio during the late 20th century when El Raval was being rebuilt. Although the film does not have much dialog or plot, the focus is on the noise and the reactions or interactions of the neighbors and the change in their neighborhood. The area of the neighborhood is generally poor and the apartment buildings that were torn down were beginning to fall apart and the people living in them did not have enough money to take care of them.
Before visiting the barrio el Raval, I was unsure of what I could encounter due to the movie and other videos I had watched related to the area. I was pleasantly surprised that the area was much different than depicted in the movie, although many years have passed since them. Upon entering El Raval there are many specialized and specific shops such as clothing boutiques, jewelry stores, healthy foods such as fresh pressed juice or gluten free. The people are a mix of rich, poor, touristic, and young “hipsters.” There were many people out in the streets walking, shopping, or eating. I think that the buildings and the apartments are enchanting with their warm, burnt and pastel colors, balconies, and shutters. All of the balconies have clothing and laundry drying on the railings and other decorations such as plants, flowers, or lights. Like the mixed people, there is a variety of restaurants, bars, cafes, and other places of varying quality that cater to all social classes. For example there are beautiful and luxurious hotels such as Barceló Raval or Casa Camper Hotel. Although there are expensive hotels and apartments, there are also many buildings that are falling apart because the owners do not have enough money to fix them.
I enjoyed walking through the streets of el Raval because I was able to see what the area looked like as a whole and post construction, a view in which the movie did not provide. El Raval runs all the way from Gran Via de les Corts Catalanes until the sea at the start of the port where the World Trade Center of Barcelona is located. El Raval is located to the South of las Ramblas, a populated area with many tourists. Las Ramblas divides el Raval from the el barrio Gótico. Before the area looked as it does now, el Gótico was too crowded to build infrastructure such as hospitals, parks, or schools. Therefore, these were built in el Raval as the city began to spread and need more space. To the west is the barrio Sant Antoni, a part of the district of l'Eixample. To the South, el Poble Sec in the district of Sants Montjïc borders el Raval. During the reconstruction of el Raval, many families moved to El Poble Sec. Before seeing the barrio, I believed that the rich has spaces much better and there was nothing for the lower classes living in the neighborhood, but now I see that isn’t entirely true. There are many parks and open spaces that were fixed up in order for everyone to enjoy. It is important that everyone has access to these spaces because the atmosphere and ambiance of a city is different in open spaces where everyone can watch or be observed. The people appear to be very relaxed, including the cats that have their own garden to enjoy the atmosphere and the sun.
El Raval reminds me of Venice Beach, California. I work at a sports camp every summer and in high school I would drive through the area everyday to go home. While working at the camp I interact with many of the children’s parents because I am in charge of payments and camp registration. I see families of all different social classes. Some pay full price for many weeks of camp, others only come for one week, some pay significantly reduced rates, and a handful comes for free. While driving home I see homeless people begging for food or money on the same streets that hundreds of tourists walk past everyday. There are some beautiful homes on the canals or on the beach and other small run down apartments. There are expensive hotels and overpriced restaurants. Just like El Raval, this area attracts people from different social classes because there is much to see and do for everyone.
Much like Venice Beach, I believe that people are attracted to el Raval because of its alternative culture that provides a space for everyone to co-exist together regardless of their social class, income, or interests. Along la Rambla del Raval one can see teenagers skateboarding, tourists eating Middle Eastern food, hipsters shopping in trendy stores, homeless sleeping on the benches, or businessmen taking a cigarette break. The public spaces allow for everyone to feel comfortable and safe with their surroundings. An open air atmosphere is a universal pleasure that anyone, regardless of their background, can take advantage of.